What is needed: return every line underneath that contains the word "eV".

____________
1.
KMnPO3F3: optimized geometry, GGA+U.

Properties
* calculated total energy: -6.2493 eV/atom
* space-group type: P2_1/c, No. 14
* DFT formation energy: -2.79 eV/atom
* ρ: 2.99 g/cm3

POSCAR file:
```
KMnPO3F3
1.0
12.8740 0.0000 0.0000
0.0000 5.5179 0.0000
0.0000 3.2349 7.1852
K Mn P O F
4 4 4 12 12
Cartesian
2.5816 6.1924 5.8282 K
3.8554 4.5749 2.2356 K
10.2924 2.5605 1.3570 K
9.0186 4.1780 4.9496 K
0.0000 4.3764 3.5926 Mn
6.4370 2.7590 0.0000 Mn
0.0000 0.0000 0.0000 Mn
6.4370 1.6175 3.5926 Mn
1.3746 1.7138 2.2604 P
5.0624 3.3313 5.8530 P
11.4994 7.0391 4.9248 P
7.8116 5.4216 1.3322 P
1.4786 6.0334 3.1863 O
4.9584 7.6509 6.7789 O
11.3954 2.7194 3.9989 O
7.9156 1.1020 0.4063 O
0.3559 1.5877 1.1184 O
6.0811 3.2052 4.7110 O
12.5181 7.1651 6.0668 O
6.7929 5.5476 2.4742 O
1.3175 3.0651 2.9740 O
5.1195 4.6825 6.5667 O
11.5565 5.6878 4.2112 O
7.7545 4.0703 0.6186 O
0.7124 4.2489 5.3377 F
5.7246 2.6315 1.7451 F
12.1616 4.5039 1.8475 F
7.1494 6.1214 5.4401 F
1.7343 4.9025 0.2726 F
4.7027 6.5200 3.8652 F
11.1397 3.8503 6.9126 F
8.1713 2.2329 3.3200 F
2.7989 1.8234 1.5204 F
3.6381 3.4408 5.1130 F
10.0751 6.9295 5.6648 F
9.2359 5.3120 2.0722 F
```



2.
Li24Mn7Cr5O36: optimized geometry, GGA+U.

Properties
* calculated total energy: -6.2276 eV/atom
* space-group type: P1, No. 1
* DFT formation energy: -2.20 eV/atom
* ρ: 3.67 g/cm3

POSCAR file:
```
Li24Mn7Cr5O36
1.0
5.0175 0.0000 0.0000
-0.8306 9.7099 0.0000
-2.4670 -1.8664 12.8913
Li Mn Cr O
24 7 5 36
Cartesian
-2.0243 8.1554 10.7295 Li
-2.1014 8.5633 7.9184 Li
-1.2399 6.8141 3.2284 Li
-1.1964 5.5652 11.8230 Li
-0.4536 4.6402 1.4458 Li
-0.4097 3.3989 10.0375 Li
-0.4159 4.2369 4.2961 Li
-0.3578 2.9931 12.8906 Li
-0.3574 3.8282 7.1572 Li
0.4351 1.6507 5.3667 Li
0.4537 8.7729 6.4446 Li
0.4590 9.6078 0.6900 Li
0.4846 8.3543 9.2732 Li
0.4071 9.1796 3.6105 Li
1.2466 -1.7527 12.2114 Li
1.2763 6.1984 7.5311 Li
2.0768 4.0204 5.7260 Li
2.1292 3.6032 8.5949 Li
2.1496 4.4516 2.8620 Li
2.1407 3.1953 11.4467 Li
2.9330 2.2722 1.0702 Li
3.7648 -0.3086 2.1477 Li
2.9524 1.0316 9.6503 Li
3.8149 -0.7190 4.9817 Li
-1.2043 6.0131 8.9540 Mn
0.4533 0.8281 11.1037 Mn
1.2574 7.0250 1.7918 Mn
1.2698 6.5955 4.6381 Mn
2.9491 1.8654 3.9473 Mn
2.9433 1.4346 6.8019 Mn
3.7609 7.2174 0.3699 Mn
-2.0657 0.5953 12.5044 Cr
-1.2659 6.4014 6.0992 Cr
0.4610 2.0736 2.5128 Cr
0.4266 1.2369 8.2148 Cr
1.3179 5.7728 10.4089 Cr
1.9884 6.6312 11.9641 O
-2.1393 4.7216 10.1075 O
-1.3474 2.7117 5.5335 O
-1.1931 2.3257 8.2809 O
-1.1570 1.8787 11.3855 O
-0.4945 7.2693 7.7036 O
-0.4699 0.7943 3.6613 O
-0.4591 0.3642 6.7543 O
-0.4058 -0.4712 12.2544 O
-0.3458 8.0986 1.8458 O
-0.3274 7.6746 4.9288 O
-0.3133 6.8520 10.4338 O
-0.2426 -0.0293 9.5064 O
0.3607 6.1566 0.3020 O
0.3780 5.3365 5.8127 O
0.3865 4.9094 8.9033 O
0.5470 5.7539 3.0599 O
0.5702 4.4939 11.6928 O
1.1074 3.3370 1.2468 O
1.1699 2.0966 9.8337 O
1.3363 2.9344 4.0064 O
1.3403 2.5042 7.0917 O
1.3263 1.7005 12.5824 O
1.9863 7.8760 3.3759 O
2.0539 0.9812 2.4694 O
2.0842 0.1546 7.9607 O
2.0718 -0.2551 11.0512 O
2.1554 8.2949 0.6212 O
2.1936 7.4789 6.1176 O
2.2103 7.0709 9.1965 O
2.2203 0.5876 5.2165 O
2.8726 5.9584 1.5350 O
2.8633 5.5201 4.5790 O
-1.9221 5.1377 7.3587 O
3.8134 3.1392 2.7822 O
-0.2720 1.1985 0.8962 O
```



3.
LiMnSiO4: optimized geometry, GGA+U.

Properties
* calculated total energy: -7.1672 eV/atom
* DFT formation energy: -2.61 eV/atom
* ρ: 3.59 g/cm3

POSCAR file:
```
LiMnSiO4
1.0
-1.3461 -0.3719 4.7118
9.0863 1.1624 1.2915
-0.8377 6.2642 0.2552
Li Mn Si O
4 4 4 16
Cartesian
0.1962 4.7058 2.7111 Li
4.0663 5.1010 5.7128 Li
2.8363 1.9537 0.5457 Li
6.7064 2.3490 3.5473 Li
3.8701 0.3953 3.0018 Mn
3.4512 3.5273 3.1291 Mn
-2.1835 5.8923 4.9668 Mn
8.6671 4.2945 1.4192 Mn
0.6645 1.5742 2.7334 Si
5.8806 2.3414 1.0233 Si
1.0219 4.7134 5.2352 Si
6.2380 5.4806 3.5250 Si
1.9425 4.8927 3.8549 O
7.1586 5.6599 2.1447 O
2.2238 1.7596 3.3012 O
7.4400 2.5267 1.5910 O
-0.5375 4.5280 4.6674 O
4.6787 5.2952 2.9573 O
-0.2561 1.3949 4.1137 O
4.9601 2.1620 2.4036 O
0.5566 0.2341 1.8038 O
____________

* calculated total energy: -6.2493 eV/atom
* DFT formation energy: -2.79 eV/atom
* calculated total energy: -6.2276 eV/atom
* DFT formation energy: -2.20 eV/atom
* calculated total energy: -7.1672 eV/atom
* DFT formation energy: -2.61 eV/atom